It remains to restate the whole of the entries further down without additions.
+++
Record 1
LaTh4Sn4: simulated XRD peak list (copper Kα), based on DFT lattice parameters and positions (PBE).
Lines closer than 0.1° are merged.

Structural model:
Unit cell a=7.772 b=7.772 c=7.772 alpha=99.59 beta=99.59 gamma=131.82
Element x y z (fractional)
La (0.000, 0.000, 0.000)
Th (0.204, 0.603, 0.807)
Th (0.397, 0.204, 0.602)
Th (0.603, 0.796, 0.398)
Th (0.796, 0.397, 0.193)
Sn (0.097, 0.304, 0.401)
Sn (0.304, 0.903, 0.207)
Sn (0.696, 0.097, 0.793)
Sn (0.903, 0.696, 0.599)

Top 10 peaks for 10° ≤ 2θ ≤ 80°, in order of falling intensity:
- 28.1 deg, rel. 100
- 40.2 deg, rel. 79
- 65.8 deg, rel. 38
- 49.8 deg, rel. 28
- 73.0 deg, rel. 28
- 24.3 deg, rel. 24
- 58.1 deg, rel. 14
- 47.5 deg, rel. 12
- 12.5 deg, rel. 7
- 64.0 deg, rel. 5

=====

Record 2
Sm11In6Ge4: simulated XRD peak list (copper Kα), based on DFT lattice parameters and positions (PBE).
Lines closer than 0.1° are merged.

Structural model:
Unit cell a=11.755 b=11.755 c=11.755 alpha=119.78 beta=119.78 gamma=90.37
Element x y z (fractional)
Sm (0.064, 0.313, 0.750)
Sm (0.100, 0.445, 0.345)
Sm (0.100, 0.754, 0.655)
Sm (0.164, 0.164, 0.000)
Sm (0.246, 0.900, 0.345)
Sm (0.313, 0.064, 0.750)
Sm (0.313, 0.563, 0.250)
Sm (0.332, 0.332, 0.664)
Sm (0.332, 0.668, 0.000)
Sm (0.437, 0.687, 0.750)
Sm (0.445, 0.100, 0.345)
Sm (0.555, 0.900, 0.655)
Sm (0.563, 0.313, 0.250)
Sm (0.668, 0.332, 0.000)
Sm (0.668, 0.668, 0.336)
Sm (0.687, 0.437, 0.750)
Sm (0.687, 0.936, 0.250)
Sm (0.754, 0.100, 0.655)
Sm (0.836, 0.836, 0.000)
Sm (0.900, 0.246, 0.345)
Sm (0.900, 0.555, 0.655)
Sm (0.936, 0.687, 0.250)
In (0.036, 0.036, 0.413)
In (0.036, 0.622, 0.000)
In (0.128, 0.128, 0.256)
In (0.128, 0.872, 0.000)
In (0.378, 0.378, 0.413)
In (0.378, 0.964, 0.000)
In (0.622, 0.036, 0.000)
In (0.622, 0.622, 0.587)
In (0.872, 0.128, 0.000)
In (0.872, 0.872, 0.744)
In (0.964, 0.378, 0.000)
In (0.964, 0.964, 0.587)
Ge (0.154, 0.500, 0.654)
Ge (0.250, 0.750, 0.500)
Ge (0.380, 0.380, 0.000)
Ge (0.500, 0.154, 0.654)
Ge (0.500, 0.846, 0.346)
Ge (0.620, 0.620, 0.000)
Ge (0.750, 0.250, 0.500)
Ge (0.846, 0.500, 0.346)

Top 10 peaks for 10° ≤ 2θ ≤ 80°, in order of falling intensity:
- 32.2 deg, rel. 100
- 31.8 deg, rel. 74
- 31.9 deg, rel. 41
- 35.4 deg, rel. 30
- 63.9 deg, rel. 21
- 30.3 deg, rel. 15
- 46.2 deg, rel. 14
- 34.0 deg, rel. 14
- 41.6 deg, rel. 13
- 32.4 deg, rel. 12

=====

Record 3
Pm3Nd2Ge2: simulated XRD peak list (copper Kα), based on DFT lattice parameters and positions (PBE).
Lines closer than 0.1° are merged.

Structural model:
Unit cell a=6.382 b=6.382 c=8.595 alpha=109.57 beta=109.57 gamma=39.35
Element x y z (fractional)
Pm (0.000, 0.000, 0.000)
Pm (0.131, 0.131, 0.442)
Pm (0.869, 0.869, 0.558)
Nd (0.350, 0.350, 0.194)
Nd (0.650, 0.650, 0.806)
Ge (0.330, 0.330, 0.797)
Ge (0.670, 0.670, 0.203)

Top 10 peaks for 10° ≤ 2θ ≤ 80°, in order of falling intensity:
- 30.6 deg, rel. 100
- 33.5 deg, rel. 99
- 31.7 deg, rel. 65
- 29.4 deg, rel. 46
- 53.6 deg, rel. 41
- 31.5 deg, rel. 40
- 42.0 deg, rel. 38
- 26.0 deg, rel. 29
- 37.9 deg, rel. 23
- 53.5 deg, rel. 21

=====

Record 4
KHgC2IN2: simulated XRD peak list (copper Kα), based on DFT lattice parameters and positions (PBE).
Lines closer than 0.1° are merged.

Structural model:
Unit cell a=8.586 b=8.586 c=9.929 alpha=90.00 beta=90.00 gamma=149.94
Element x y z (fractional)
K (0.238, 0.762, 0.750)
K (0.762, 0.238, 0.250)
Hg (0.000, 0.000, 0.000)
Hg (0.000, 0.000, 0.500)
C (0.119, 0.881, 0.057)
C (0.119, 0.881, 0.443)
C (0.881, 0.119, 0.557)
C (0.881, 0.119, 0.943)
I (0.446, 0.554, 0.250)
I (0.554, 0.446, 0.750)
N (0.187, 0.813, 0.089)
N (0.187, 0.813, 0.411)
N (0.813, 0.187, 0.589)
N (0.813, 0.187, 0.911)

Top 10 peaks for 10° ≤ 2θ ≤ 80°, in order of falling intensity:
- 10.7 deg, rel. 100
- 27.4 deg, rel. 97
- 31.5 deg, rel. 40
- 21.4 deg, rel. 23
- 27.2 deg, rel. 20
- 33.7 deg, rel. 19
- 37.2 deg, rel. 18
- 20.9 deg, rel. 15
- 37.8 deg, rel. 14
- 36.2 deg, rel. 13

=====

Record 5
+++
Record 1
LaTh4Sn4: simulated XRD peak list (copper Kα), based on DFT lattice parameters and positions (PBE).
Lines closer than 0.1° are merged.

Structural model:
Unit cell a=7.772 b=7.772 c=7.772 alpha=99.59 beta=99.59 gamma=131.82
Element x y z (fractional)
La (0.000, 0.000, 0.000)
Th (0.204, 0.603, 0.807)
Th (0.397, 0.204, 0.602)
Th (0.603, 0.796, 0.398)
Th (0.796, 0.397, 0.193)
Sn (0.097, 0.304, 0.401)
Sn (0.304, 0.903, 0.207)
Sn (0.696, 0.097, 0.793)
Sn (0.903, 0.696, 0.599)

Top 10 peaks for 10° ≤ 2θ ≤ 80°, in order of falling intensity:
- 28.1 deg, rel. 100
- 40.2 deg, rel. 79
- 65.8 deg, rel. 38
- 49.8 deg, rel. 28
- 73.0 deg, rel. 28
- 24.3 deg, rel. 24
- 58.1 deg, rel. 14
- 47.5 deg, rel. 12
- 12.5 deg, rel. 7
- 64.0 deg, rel. 5

=====

Record 2
Sm11In6Ge4: simulated XRD peak list (copper Kα), based on DFT lattice parameters and positions (PBE).
Lines closer than 0.1° are merged.

Structural model:
Unit cell a=11.755 b=11.755 c=11.755 alpha=119.78 beta=119.78 gamma=90.37
Element x y z (fractional)
Sm (0.064, 0.313, 0.750)
Sm (0.100, 0.445, 0.345)
Sm (0.100, 0.754, 0.655)
Sm (0.164, 0.164, 0.000)
Sm (0.246, 0.900, 0.345)
Sm (0.313, 0.064, 0.750)
Sm (0.313, 0.563, 0.250)
Sm (0.332, 0.332, 0.664)
Sm (0.332, 0.668, 0.000)
Sm (0.437, 0.687, 0.750)
Sm (0.445, 0.100, 0.345)
Sm (0.555, 0.900, 0.655)
Sm (0.563, 0.313, 0.250)
Sm (0.668, 0.332, 0.000)
Sm (0.668, 0.668, 0.336)
Sm (0.687, 0.437, 0.750)
Sm (0.687, 0.936, 0.250)
Sm (0.754, 0.100, 0.655)
Sm (0.836, 0.836, 0.000)
Sm (0.900, 0.246, 0.345)
Sm (0.900, 0.555, 0.655)
Sm (0.936, 0.687, 0.250)
In (0.036, 0.036, 0.413)
In (0.036, 0.622, 0.000)
In (0.128, 0.128, 0.256)
In (0.128, 0.872, 0.000)
In (0.378, 0.378, 0.413)
In (0.378, 0.964, 0.000)
In (0.622, 0.036, 0.000)
In (0.622, 0.622, 0.587)
In (0.872, 0.128, 0.000)
In (0.872, 0.872, 0.744)
In (0.964, 0.378, 0.000)
In (0.964, 0.964, 0.587)
Ge (0.154, 0.500, 0.654)
Ge (0.250, 0.750, 0.500)
Ge (0.380, 0.380, 0.000)
Ge (0.500, 0.154, 0.654)
Ge (0.500, 0.846, 0.346)
Ge (0.620, 0.620, 0.000)
Ge (0.750, 0.250, 0.500)
Ge (0.846, 0.500, 0.346)

Top 10 peaks for 10° ≤ 2θ ≤ 80°, in order of falling intensity:
- 32.2 deg, rel. 100
- 31.8 deg, rel. 74
- 31.9 deg, rel. 41
- 35.4 deg, rel. 30
- 63.9 deg, rel. 21
- 30.3 deg, rel. 15
- 46.2 deg, rel. 14
- 34.0 deg, rel. 14
- 41.6 deg, rel. 13
- 32.4 deg, rel. 12

=====

Record 3
Pm3Nd2Ge2: simulated XRD peak list (copper Kα), based on DFT lattice parameters and positions (PBE).
Lines closer than 0.1° are merged.

Structural model:
Unit cell a=6.382 b=6.382 c=8.595 alpha=109.57 beta=109.57 gamma=39.35
Element x y z (fractional)
Pm (0.000, 0.000, 0.000)
Pm (0.131, 0.131, 0.442)
Pm (0.869, 0.869, 0.558)
Nd (0.350, 0.350, 0.194)
Nd (0.650, 0.650, 0.806)
Ge (0.330, 0.330, 0.797)
Ge (0.670, 0.670, 0.203)

Top 10 peaks for 10° ≤ 2θ ≤ 80°, in order of falling intensity:
- 30.6 deg, rel. 100
- 33.5 deg, rel. 99
- 31.7 deg, rel. 65
- 29.4 deg, rel. 46
- 53.6 deg, rel. 41
- 31.5 deg, rel. 40
- 42.0 deg, rel. 38
- 26.0 deg, rel. 29
- 37.9 deg, rel. 23
- 53.5 deg, rel. 21

=====

Record 4
KHgC2IN2: simulated XRD peak list (copper Kα), based on DFT lattice parameters and positions (PBE).
Lines closer than 0.1° are merged.

Structural model:
Unit cell a=8.586 b=8.586 c=9.929 alpha=90.00 beta=90.00 gamma=149.94
Element x y z (fractional)
K (0.238, 0.762, 0.750)
K (0.762, 0.238, 0.250)
Hg (0.000, 0.000, 0.000)
Hg (0.000, 0.000, 0.500)
C (0.119, 0.881, 0.057)
C (0.119, 0.881, 0.443)
C (0.881, 0.119, 0.557)
C (0.881, 0.119, 0.943)
I (0.446, 0.554, 0.250)
I (0.554, 0.446, 0.750)
N (0.187, 0.813, 0.089)
N (0.187, 0.813, 0.411)
N (0.813, 0.187, 0.589)
N (0.813, 0.187, 0.911)

Top 10 peaks for 10° ≤ 2θ ≤ 80°, in order of falling intensity:
- 10.7 deg, rel. 100
- 27.4 deg, rel. 97
- 31.5 deg, rel. 40
- 21.4 deg, rel. 23
- 27.2 deg, rel. 20
- 33.7 deg, rel. 19
- 37.2 deg, rel. 18
- 20.9 deg, rel. 15
- 37.8 deg, rel. 14
- 36.2 deg, rel. 13

=====

Record 5